What to do:
What is needed: type out only the last part of the notes further below, starting with the line that has "16.8247 8.2111".

Source:
1.
Below is crystalline KAg2I4 at its relaxed geometry, with properties calculated at the PBE-GGA level.

Energy above the most stable polymorph in this dataset = 0.5 kJ per mole of atoms

abc: 16.7981 16.8247 8.2111
angles: 90.00 90.00 90.00
Space group Fdd2 (No. 43)
Unique sites:
K: 0.0000 0.0000 0.0000
Ag: 0.0857 0.3352 0.8744
I: 0.0787 0.1297 0.3443
I: 0.1206 0.1712 0.9043

***

2.
Below is crystalline TbTlSnBr6 at its relaxed geometry, with properties calculated at the PBE-GGA level.

Calculated total energy = -3.638 eV per atom

abc: 7.5790 7.5790 7.1794
angles: 90.00 90.00 120.00
Space group P312 (No. 149)
Unique sites:
Tb: 0.0000 0.0000 0.0000
Tl: 0.6667 0.3333 0.5000
Sn: 0.3333 0.6667 0.0000
Br: 0.0232 0.3161 0.7724

***

3.
Below is crystalline Er2H7Rh2 at its relaxed geometry, with properties calculated at the PBE-GGA level.

Calculated total energy = -4.730 eV per atom

abc: 8.4487 7.6996 3.5478
angles: 90.00 114.57 90.00
Space group C2/m (No. 12)
Unique sites:
Er: 0.0000 0.2288 0.0000
H: 0.0000 0.0000 0.5000
H: 0.1730 0.5000 0.1717
H: 0.1793 0.2827 0.6784
Rh: 0.1824 0.5000 0.6812

***

4.
Below is crystalline SmTm3Rh8 at its relaxed geometry, with properties calculated at the PBE-GGA level.

ΔE_f = -8.68 eV/f.u.

abc: 5.3236 5.3236 8.7066
angles: 90.00 90.00 120.00
Space group P3m1 (No. 156)
Unique sites:
Sm: 0.0000 0.0000 0.0000
Tm: 0.0000 0.0000 0.3680
Tm: 0.6667 0.3333 0.4980
Tm: 0.6667 0.3333 0.8640
Rh: 0.1643 0.3286 0.6804
Rh: 0.3333 0.6667 0.4325
Rh: 0.3333 0.6667 0.9319
Rh: 0.5025 0.0050 0.1855

***

5.
Below is crystalline NaNbO2 at its relaxed geometry, with properties calculated at the PBE-GGA level.

Calculated total energy = -6.991 eV per atom

abc: 4.9231 4.9231 10.9426
angles: 90.00 90.00 90.00
Space group I-42d (No. 122)
Unique sites:
Na: 0.0000 0.0000 0.0000
Nb: 0.0000 0.0000 0.5000
O: 0.1564 0.2500 0.6250

***

6.
Below is crystalline MnReSe at its relaxed geometry, with properties calculated at the PBE-GGA level.

Energy above the most stable polymorph in this dataset = 2.8 kJ per mole of atoms

abc: 2.9289 2.9289 5.9650
angles: 90.00 90.00 120.00
Space group P3m1 (No. 156)
Unique sites:
Mn: 0.0000 0.0000 0.0000
Re: 0.6667 0.3333 0.3167
Se: 0.3333 0.6667 0.6806

***

no.,theoretical density (g/cm3)
1,4.36
2,4.47
3,8.66
4,11.50
5,3.70
6,12.00

Reply:
abc: 16.7981 16.8247 8.2111
angles: 90.00 90.00 90.00
Space group Fdd2 (No. 43)
Unique sites:
K: 0.0000 0.0000 0.0000
Ag: 0.0857 0.3352 0.8744
I: 0.0787 0.1297 0.3443
I: 0.1206 0.1712 0.9043

***

2.
Below is crystalline TbTlSnBr6 at its relaxed geometry, with properties calculated at the PBE-GGA level.

Calculated total energy = -3.638 eV per atom

abc: 7.5790 7.5790 7.1794
angles: 90.00 90.00 120.00
Space group P312 (No. 149)
Unique sites:
Tb: 0.0000 0.0000 0.0000
Tl: 0.6667 0.3333 0.5000
Sn: 0.3333 0.6667 0.0000
Br: 0.0232 0.3161 0.7724

***

3.
Below is crystalline Er2H7Rh2 at its relaxed geometry, with properties calculated at the PBE-GGA level.

Calculated total energy = -4.730 eV per atom

abc: 8.4487 7.6996 3.5478
angles: 90.00 114.57 90.00
Space group C2/m (No. 12)
Unique sites:
Er: 0.0000 0.2288 0.0000
H: 0.0000 0.0000 0.5000
H: 0.1730 0.5000 0.1717
H: 0.1793 0.2827 0.6784
Rh: 0.1824 0.5000 0.6812

***

4.
Below is crystalline SmTm3Rh8 at its relaxed geometry, with properties calculated at the PBE-GGA level.

ΔE_f = -8.68 eV/f.u.

abc: 5.3236 5.3236 8.7066
angles: 90.00 90.00 120.00
Space group P3m1 (No. 156)
Unique sites:
Sm: 0.0000 0.0000 0.0000
Tm: 0.0000 0.0000 0.3680
Tm: 0.6667 0.3333 0.4980
Tm: 0.6667 0.3333 0.8640
Rh: 0.1643 0.3286 0.6804
Rh: 0.3333 0.6667 0.4325
Rh: 0.3333 0.6667 0.9319
Rh: 0.5025 0.0050 0.1855

***

5.
Below is crystalline NaNbO2 at its relaxed geometry, with properties calculated at the PBE-GGA level.

Calculated total energy = -6.991 eV per atom

abc: 4.9231 4.9231 10.9426
angles: 90.00 90.00 90.00
Space group I-42d (No. 122)
Unique sites:
Na: 0.0000 0.0000 0.0000
Nb: 0.0000 0.0000 0.5000
O: 0.1564 0.2500 0.6250

***

6.
Below is crystalline MnReSe at its relaxed geometry, with properties calculated at the PBE-GGA level.

Energy above the most stable polymorph in this dataset = 2.8 kJ per mole of atoms

abc: 2.9289 2.9289 5.9650
angles: 90.00 90.00 120.00
Space group P3m1 (No. 156)
Unique sites:
Mn: 0.0000 0.0000 0.0000
Re: 0.6667 0.3333 0.3167
Se: 0.3333 0.6667 0.6806

***

no.,theoretical density (g/cm3)
1,4.36
2,4.47
3,8.66
4,11.50
5,3.70
6,12.00